Equine AMH Testing
Anti-Müllerian hormone (AMH) is a glycoprotein, important in the development of the reproductive tract in mammals including horses. Sertoli cells of the fetal testes produce AMH results in regression of the Müllerian ducts and development of Wolffian duct. Fetal ovaries do not produce AMH results in the development of Müllerian duct and regression of Wolffian duct. AMH concentration decreases in stallions after puberty. AMH plays an active role in folliculogenesis in mares after birth.

Clinical Applications
Cryptorchidism is a condition in which one or both testes are retained within the inguinal canal and/or abdominal cavity. The circulating concentration of AMH in the cryptorchid stallion without scrotal testes is higher than intact stallion. But the levels of testosterone and estrogen are significantly low or not different between intact and cryptorchid stallions. Testicles are the only source of AMH, whereas testosterone secrets from testicular and adrenal glands.
Testicular Tissue, Function and Tumor
AMH is the biomarker to detect the retained testicular tissue in horses of all ages but testosterone is not useful in horses younger than 18 month of age, estrogen sulfate is less informative before 3 years of age. AMH concentration is higher in stallions during breeding season than non-breeding season. Compared to testosterone, serum AMH displays less diurnal variation making the measurement of AMH better for reproducibility. Measurement of serum AMH or immunohistochemistry can differentiate Sertoli cell tumors with other tumor types.
Ovarian Reserve and Function
'''
(1)
AcEuZn2: optimized geometry, r²SCAN.

The value obtained for the formation energy is -268 meV per atom. As for the space group: Fm-3m, No. 225. The magnetization comes out at 28.09 Bohr magnetons per cell. The calculated volume comes out at 28.21 A^3/atom. The raw total energy is -31.51 eV per atom.

```
data_AcEuZn2
_space_group_name_H-M_alt 'P 1'
_space_group_IT_number 1
_cell_length_a 7.670
_cell_length_b 7.670
_cell_length_c 7.670
_cell_angle_alpha 90.00
_cell_angle_beta 90.00
_cell_angle_gamma 90.00
loop_
_space_group_symop_operation_xyz
'x,y,z'
loop_
_atom_site_label
_atom_site_type_symbol
_atom_site_fract_x
_atom_site_fract_y
_atom_site_fract_z
Ac1 Ac 0.000 0.000 0.000
Ac2 Ac 0.000 0.500 0.500
Ac3 Ac 0.500 0.000 0.500
Ac4 Ac 0.500 0.500 0.000
Eu1 Eu 0.000 0.000 0.500
Eu2 Eu 0.000 0.500 0.000
Eu3 Eu 0.500 0.000 0.000
Eu4 Eu 0.500 0.500 0.500
Zn1 Zn 0.250 0.250 0.250
Zn2 Zn 0.250 0.250 0.750
Zn3 Zn 0.250 0.750 0.250
Zn4 Zn 0.250 0.750 0.750
Zn5 Zn 0.750 0.250 0.250
Zn6 Zn 0.750 0.250 0.750
Zn7 Zn 0.750 0.750 0.250
Zn8 Zn 0.750 0.750 0.750
```

---

(2)
ScRh: optimized geometry, r²SCAN.

The value obtained for the formation energy is -1074 meV per atom. As for the space group: Pm-3m, No. 221. The magnetization comes out at 0.00 Bohr magnetons per cell. The calculated volume comes out at 16.65 A^3/atom. The raw total energy is -18.84 eV per atom.

```
data_ScRh
_space_group_name_H-M_alt 'P 1'
_space_group_IT_number 1
_cell_length_a 3.217
_cell_length_b 3.217
_cell_length_c 3.217
_cell_angle_alpha 90.00
_cell_angle_beta 90.00
_cell_angle_gamma 90.00
loop_
_space_group_symop_operation_xyz
'x,y,z'
loop_
_atom_site_label
_atom_site_type_symbol
_atom_site_fract_x
_atom_site_fract_y
_atom_site_fract_z
Sc1 Sc 0.000 0.000 0.000
Rh1 Rh 0.500 0.500 0.500
```

---

(3)
Al3GaN4: optimized geometry, r²SCAN.

The value obtained for the formation energy is -1410 meV per atom. As for the space group: P-43m, No. 215. The magnetization comes out at 0.00 Bohr magnetons per cell. The calculated volume comes out at 10.66 A^3/atom. The raw total energy is -9.93 eV per atom.

```
data_Al3GaN4
_space_group_name_H-M_alt 'P 1'
_space_group_IT_number 1
_cell_length_a 4.401
_cell_length_b 4.401
_cell_length_c 4.401
_cell_angle_alpha 90.00
_cell_angle_beta 90.00
_cell_angle_gamma 90.00
loop_
_space_group_symop_operation_xyz
'x,y,z'
loop_
_atom_site_label
_atom_site_type_symbol
_atom_site_fract_x
_atom_site_fract_y
_atom_site_fract_z
Al1 Al 0.000 0.000 0.500
Al2 Al 0.000 0.500 0.000
Al3 Al 0.500 0.000 0.000
Ga1 Ga 0.500 0.500 0.500
N1 N 0.244 0.244 0.756
N2 N 0.244 0.756 0.244
N3 N 0.756 0.244 0.244
N4 N 0.756 0.756 0.756
```

---

(4)
CrSi2: optimized geometry, r²SCAN.

The value obtained for the formation energy is -257 meV per atom. As for the space group: I4/mmm, No. 139. The magnetization comes out at 0.00 Bohr magnetons per cell. The calculated volume comes out at 11.62 A^3/atom. The raw total energy is -11.13 eV per atom.

```
data_CrSi2
'''
**End of the data records:**
AMH is synthesized from granulosa cells of the ovarian follicles in adult mares. Circulating concentration of AMH is used to differentiate ovariectomized and intact mares. The expression of AMH is strong in the small Antral follicles (15-20 mm) and faint signal in dominant and preovulatory follicles. AMH concentration varies between young, middle aged and old age mares. AMH is highly correlated to antral follicle count and the concentration is relatively stable during and between different estrous cycles therefore valuable in assessing the reproductive lifespan of mares.
Granulosa Cell Tumor
The equine granulosa cell tumor (GCT), is the most common tumor of the equine ovary. In contrast with hemorrhagic anovulatory follicle or ovarian hematoma, the equine GCT is hormonally active. Inhibin and testosterone concentrations are increased in nearly 80% and 48% of GCT mares respectively. But their concentrations are also increased during pregnancy, and slightly increased testosterone concentrations in non-pregnant mares could be attributed to increased adrenal gland activity. Mares with a GCT have higher circulating AMH concentrations than non-pregnant and pregnant mares without a GCT indicating that AMH can serve as an endocrine marker for equine GCTs. AMH turns out to be the most important endocrine marker to identify mares with a GCT because it has a higher sensitivity (98%) than inhibin and testosterone.
Biomarker for Fertility in Mares
AMH and / or AFC has been associated with fertility in both assisted reproduction settings as well as natural fertility. Concentrations of AMH have been shown related to assisted reproduction parameters such as oocyte quality, response to ovarian stimulation protocols, embryo production and implantation in cattle. Studies have shown that in growing equine follicles, low AFC was associated with reduced expression of AMH, AMHRII, ESR2 and FSHR in granulosa cells compared to growing follicles from mares with high AFC. The AMH concentrations were higher in pregnant than in open mares based upon pregnancy outcome at Days 13-18.
Serum AMH concentration were positively correlated with the daily increase in ovarian follicle diameter as well with mares with higher conception rates. It was also negatively correlated with anovulation and number of mating per conception. In summary, a strong relationship was found between peripheral AMH concentrations and fertility performance in mares.